Input:
+++
(1)
An optimized crystal structure of DyPPtO, computed with PBE-GGA.

Unit cell a=4.570 b=4.016 c=6.929 alpha=90.00 beta=90.00 gamma=90.00
Fractional coordinates of all 8 atoms:
Dy 0.500 0.751 0.647
Dy 0.500 0.249 0.147
O 0.500 0.253 0.814
O 0.500 0.747 0.314
Pt 0.000 0.752 0.980
Pt 0.000 0.248 0.480
P 0.000 0.748 0.314
P 0.000 0.252 0.814

Output
- Energy: -0.2518 hartree per atom
- SG: No. 26

(2)
An optimized crystal structure of YTmSi2Os, computed with PBE-GGA.

Unit cell a=5.684 b=5.684 c=9.942 alpha=116.39 beta=116.39 gamma=43.52
Fractional coordinates of all 10 atoms:
Si 0.642 0.642 0.060
Si 0.358 0.358 0.940
Si 0.496 0.496 0.626
Si 0.504 0.504 0.374
Y 0.187 0.187 0.610
Y 0.813 0.813 0.390
Tm 0.006 0.006 0.177
Tm 0.994 0.994 0.823
Os 0.269 0.269 0.126
Os 0.731 0.731 0.874

Output
- Energy: -0.2728 hartree per atom
- SG: No. 12

(3)
An optimized crystal structure of HoEr2Tm3Te2Os, computed with PBE-GGA.

Unit cell a=4.032 b=8.183 c=8.183 alpha=119.44 beta=90.00 gamma=90.00
Fractional coordinates of all 9 atoms:
Tm 0.000 0.998 0.761
Tm 0.000 0.240 0.240
Tm 0.000 0.761 0.998
Te 0.000 0.333 0.666
Te 0.000 0.666 0.333
Er 0.500 0.000 0.386
Er 0.500 0.386 0.000
Ho 0.500 0.609 0.609
Os 0.500 0.006 0.006

Output
- Energy: -0.2089 hartree per atom
- SG: No. 38

(4)
An optimized crystal structure of Hf2Fe3Si, computed with PBE-GGA.

Unit cell a=4.941 b=4.941 c=7.940 alpha=90.00 beta=90.00 gamma=120.00
Site moments in Bohr magnetons follow the coordinates.
Fractional coordinates of all 12 atoms:
Fe 0.830 0.170 0.250  1.67
Fe 0.830 0.659 0.250  1.59
Fe 0.170 0.830 0.750  1.67
Fe 0.341 0.170 0.250  1.50
Fe 0.659 0.830 0.750  1.50
Fe 0.170 0.341 0.750  1.59
Hf 0.667 0.333 0.936  -0.32
Hf 0.333 0.667 0.064  -0.32
Hf 0.333 0.667 0.436  -0.33
Hf 0.667 0.333 0.564  -0.33
Si 0.000 0.000 0.500  -0.02
Si 0.000 0.000 0.000  -0.01

Output
- Energy: -0.3289 hartree per atom
- SG: No. 194

(5)
An optimized crystal structure of RbPrSeO, computed with PBE-GGA.

Unit cell a=7.790 b=7.790 c=7.790 alpha=29.57 beta=29.57 gamma=29.57
Fractional coordinates of all 4 atoms:
Se 0.765 0.765 0.765
Rb 0.995 0.995 0.995
Pr 0.515 0.515 0.515
O 0.225 0.225 0.225

Output
- Energy: -0.2046 hartree per atom
- SG: No. 160

(6)
An optimized crystal structure of CuBSb, computed with PBE-GGA.

Unit cell a=4.048 b=4.048 c=4.048 alpha=60.00 beta=60.00 gamma=60.00
Fractional coordinates of all 3 atoms:
Cu 0.250 0.250 0.250
Sb 0.750 0.750 0.750
B 0.000 0.000 0.000

Output
- Energy: -0.1486 hartree per atom
- SG: No. 216

=====

No. 1
Here is a relaxed LiTl2Au2 crystal from the Alexandria database. Energies are from PBE.

a = 4.4815 Å, b = 4.4815 Å, c = 13.1471 Å
α = 90.00°, β = 90.00°, γ = 90.00°
Closest atoms and distances in Å follow each position.
Atoms (fractional coordinates):
1 Li 0.0000 0.0000 0.0000  8 Au 3.43
2 Li 0.5000 0.5000 0.5000  8 Au 3.43
3 Tl 0.0000 0.5000 0.2500  4 Au 2.98, 4 Tl 3.17
4 Tl 0.0000 0.5000 0.7500  4 Au 2.98, 4 Tl 3.17
5 Tl 0.5000 0.0000 0.2500  4 Au 2.98, 4 Tl 3.17
6 Tl 0.5000 0.0000 0.7500  4 Au 2.98, 4 Tl 3.17
7 Au 0.0000 0.0000 0.3994  1 Au 2.65
8 Au 0.0000 0.0000 0.6006  1 Au 2.65
9 Au 0.5000 0.5000 0.1006  1 Au 2.65
10 Au 0.5000 0.5000 0.8994  1 Au 2.65

Summary:
M_tot ... 0.00 μB/f.u.
Energy of formation from the pure elements ... -0.008 eV per atom
Density of states at the Fermi level ... 4.69 states/eV/cell
V ... 26.4 Å³/atom


No. 2
Here is a relaxed LaTc3P crystal from the Alexandria database. Energies are from PBE.

a = 4.5422 Å, b = 4.5422 Å, c = 4.5422 Å
α = 90.00°, β = 90.00°, γ = 90.00°
Closest atoms and distances in Å follow each position.
Atoms (fractional coordinates):
1 La 0.0000 0.0000 0.0000  12 Tc 3.21
2 Tc 0.0000 0.5000 0.5000  2 P 2.27
3 Tc 0.5000 0.0000 0.5000  2 P 2.27
4 Tc 0.5000 0.5000 0.0000  2 P 2.27
5 P 0.5000 0.5000 0.5000  6 Tc 2.27

Summary:
M_tot ... 1.77 μB/f.u.
Energy of formation from the pure elements ... 0.047 eV per atom
Density of states at the Fermi level ... 5.65 states/eV/cell
V ... 18.7 Å³/atom
+++

To do:
Quote the calculation results above word for word.

Reply:
(1)
An optimized crystal structure of DyPPtO, computed with PBE-GGA.

Unit cell a=4.570 b=4.016 c=6.929 alpha=90.00 beta=90.00 gamma=90.00
Fractional coordinates of all 8 atoms:
Dy 0.500 0.751 0.647
Dy 0.500 0.249 0.147
O 0.500 0.253 0.814
O 0.500 0.747 0.314
Pt 0.000 0.752 0.980
Pt 0.000 0.248 0.480
P 0.000 0.748 0.314
P 0.000 0.252 0.814

Output
- Energy: -0.2518 hartree per atom
- SG: No. 26

(2)
An optimized crystal structure of YTmSi2Os, computed with PBE-GGA.

Unit cell a=5.684 b=5.684 c=9.942 alpha=116.39 beta=116.39 gamma=43.52
Fractional coordinates of all 10 atoms:
Si 0.642 0.642 0.060
Si 0.358 0.358 0.940
Si 0.496 0.496 0.626
Si 0.504 0.504 0.374
Y 0.187 0.187 0.610
Y 0.813 0.813 0.390
Tm 0.006 0.006 0.177
Tm 0.994 0.994 0.823
Os 0.269 0.269 0.126
Os 0.731 0.731 0.874

Output
- Energy: -0.2728 hartree per atom
- SG: No. 12

(3)
An optimized crystal structure of HoEr2Tm3Te2Os, computed with PBE-GGA.

Unit cell a=4.032 b=8.183 c=8.183 alpha=119.44 beta=90.00 gamma=90.00
Fractional coordinates of all 9 atoms:
Tm 0.000 0.998 0.761
Tm 0.000 0.240 0.240
Tm 0.000 0.761 0.998
Te 0.000 0.333 0.666
Te 0.000 0.666 0.333
Er 0.500 0.000 0.386
Er 0.500 0.386 0.000
Ho 0.500 0.609 0.609
Os 0.500 0.006 0.006

Output
- Energy: -0.2089 hartree per atom
- SG: No. 38

(4)
An optimized crystal structure of Hf2Fe3Si, computed with PBE-GGA.

Unit cell a=4.941 b=4.941 c=7.940 alpha=90.00 beta=90.00 gamma=120.00
Site moments in Bohr magnetons follow the coordinates.
Fractional coordinates of all 12 atoms:
Fe 0.830 0.170 0.250  1.67
Fe 0.830 0.659 0.250  1.59
Fe 0.170 0.830 0.750  1.67
Fe 0.341 0.170 0.250  1.50
Fe 0.659 0.830 0.750  1.50
Fe 0.170 0.341 0.750  1.59
Hf 0.667 0.333 0.936  -0.32
Hf 0.333 0.667 0.064  -0.32
Hf 0.333 0.667 0.436  -0.33
Hf 0.667 0.333 0.564  -0.33
Si 0.000 0.000 0.500  -0.02
Si 0.000 0.000 0.000  -0.01

Output
- Energy: -0.3289 hartree per atom
- SG: No. 194

(5)
An optimized crystal structure of RbPrSeO, computed with PBE-GGA.

Unit cell a=7.790 b=7.790 c=7.790 alpha=29.57 beta=29.57 gamma=29.57
Fractional coordinates of all 4 atoms:
Se 0.765 0.765 0.765
Rb 0.995 0.995 0.995
Pr 0.515 0.515 0.515
O 0.225 0.225 0.225

Output
- Energy: -0.2046 hartree per atom
- SG: No. 160

(6)
An optimized crystal structure of CuBSb, computed with PBE-GGA.

Unit cell a=4.048 b=4.048 c=4.048 alpha=60.00 beta=60.00 gamma=60.00
Fractional coordinates of all 3 atoms:
Cu 0.250 0.250 0.250
Sb 0.750 0.750 0.750
B 0.000 0.000 0.000

Output
- Energy: -0.1486 hartree per atom
- SG: No. 216

=====

No. 1
Here is a relaxed LiTl2Au2 crystal from the Alexandria database. Energies are from PBE.

a = 4.4815 Å, b = 4.4815 Å, c = 13.1471 Å
α = 90.00°, β = 90.00°, γ = 90.00°
Closest atoms and distances in Å follow each position.
Atoms (fractional coordinates):
1 Li 0.0000 0.0000 0.0000  8 Au 3.43
2 Li 0.5000 0.5000 0.5000  8 Au 3.43
3 Tl 0.0000 0.5000 0.2500  4 Au 2.98, 4 Tl 3.17
4 Tl 0.0000 0.5000 0.7500  4 Au 2.98, 4 Tl 3.17
5 Tl 0.5000 0.0000 0.2500  4 Au 2.98, 4 Tl 3.17
6 Tl 0.5000 0.0000 0.7500  4 Au 2.98, 4 Tl 3.17
7 Au 0.0000 0.0000 0.3994  1 Au 2.65
8 Au 0.0000 0.0000 0.6006  1 Au 2.65
9 Au 0.5000 0.5000 0.1006  1 Au 2.65
10 Au 0.5000 0.5000 0.8994  1 Au 2.65

Summary:
M_tot ... 0.00 μB/f.u.
Energy of formation from the pure elements ... -0.008 eV per atom
Density of states at the Fermi level ... 4.69 states/eV/cell
V ... 26.4 Å³/atom


No. 2
Here is a relaxed LaTc3P crystal from the Alexandria database. Energies are from PBE.

a = 4.5422 Å, b = 4.5422 Å, c = 4.5422 Å
α = 90.00°, β = 90.00°, γ = 90.00°
Closest atoms and distances in Å follow each position.
Atoms (fractional coordinates):
1 La 0.0000 0.0000 0.0000  12 Tc 3.21
2 Tc 0.0000 0.5000 0.5000  2 P 2.27
3 Tc 0.5000 0.0000 0.5000  2 P 2.27
4 Tc 0.5000 0.5000 0.0000  2 P 2.27
5 P 0.5000 0.5000 0.5000  6 Tc 2.27

Summary:
M_tot ... 1.77 μB/f.u.
Energy of formation from the pure elements ... 0.047 eV per atom
Density of states at the Fermi level ... 5.65 states/eV/cell
V ... 18.7 Å³/atom